Current Project Phase:
Chemical Weapons Destruction at the Pueblo Chemical Agent-Destruction Pilot Plant (PCAPP):
The Pueblo Chemical Agent-Destruction Pilot Plant (PCAPP) completed destruction of the U.S. chemical weapons stockpile previously stored at the U.S. Army Pueblo Chemical Depot (PCD) in Colorado on June 22, 2023. The stockpile consisted of 780,089 chemical weapons containing 2,613 U.S. tons of mustard agent.
The site is in the closure phase, which is expected to take approximately three years. Plant closure involves the decontamination and decommissioning of facilities and equipment, disposition of property, demolition of facilities not required for future U.S. Army use, and closure of government contracts and environmental permits in accordance with laws and regulations.
The safety of the workforce, community and environment continues to be the plant’s highest priority during the closure phase.
Project Update:
- The plant is awaiting state approval of Permit Modification Request B062, Agent Neutralization System Changes to Bypass the Agent Water Separator and Wash Water Collection Tanks. A public meeting was held May 8 to discuss the proposed changes. The public comment period for this modification request closes June 17.
- A job fair for PCAPP workers will be held June 5 and 6 with representatives from other Bechtel, Amentum and Battelle projects and local industrial park companies.
- More than 120,000 pounds of contaminated closure waste has been shipped to hazardous waste facilities in Deer Trail, Colorado, and near Port Arthur, Texas.
Main Plant:
- The utility stations for the Cavity Access Machines and the feed conveyors to the Munitions Washout System (MWS) in the Agent Processing Building have all been decontaminated and removed. In addition, surge drums and associated piping have been decontaminated and removed from the MWS.
- Air-monitoring systems used during destruction operations are being installed in the MWS Room and Toxic Maintenance Area to provide lower-level monitoring to assist with determining whether levels of protective equipment for workers can be reduced.
- Media cleanout is complete in Module 1 of the Immobilized Cell Bioreactors in the Biotreatment Area and continuing in Module 3, while sludge cleanout continues in the Water Recovery System Tanks.
Misplaced calculated molecules:
=====
Entry 1:
58
Properties=species:S:1:pos:R:3:forces:R:3 method="wB97M-V/def2-TZVPD" charge=+1 spin_multiplicity=1 e_lumo_ev=-3.44 total_energy_ev=-77894.0357 e_homo_ev=-10.36 e_above_lowest_kcal_mol=0.0 orbital_gap_ev=6.92
Ni 0.1603 0.5380 -0.0927 0.4 0.3 0.1
C 2.1613 2.4171 1.2676 0.0 0.1 -0.1
O 1.8268 1.6490 0.1003 -0.1 -0.2 0.3
C 2.8684 0.9791 -0.5370 -0.1 -0.5 -0.3
C 4.2087 1.0593 -0.2233 -0.1 0.3 0.0
C 5.1119 0.3148 -0.9805 0.1 0.1 0.1
C 4.6822 -0.5018 -2.0089 0.0 -0.1 -0.1
C 3.3277 -0.6192 -2.2892 0.0 0.0 0.0
C 2.4260 0.1175 -1.5475 -0.1 0.1 0.2
N 1.0115 -0.0130 -1.6307 0.0 -0.1 -0.1
N 0.5450 -0.6059 -2.6424 -0.2 0.0 0.0
C -0.7639 -0.9408 -2.6894 0.3 0.0 0.1
C -1.5813 -0.9712 -1.5305 0.0 -0.1 0.1
O -1.2077 -0.5907 -0.3453 -0.2 0.1 -0.3
C -2.8870 -1.5380 -1.6374 0.0 0.0 0.0
C -3.3482 -2.0009 -2.8222 0.0 0.0 0.0
C -2.5621 -1.9646 -4.0168 0.0 0.0 0.0
C -3.0670 -2.4495 -5.2373 0.0 0.0 0.0
C -2.2966 -2.4181 -6.3702 0.0 0.0 0.0
C -0.9980 -1.8923 -6.3096 0.0 0.0 0.0
C -0.4885 -1.4047 -5.1305 0.0 0.0 0.0
C -1.2599 -1.4398 -3.9572 0.0 0.0 0.0
H 2.9717 3.1003 1.0236 0.0 0.0 0.0
H 2.4467 1.7540 2.0846 0.0 0.0 0.0
H 1.2748 2.9832 1.5262 0.0 0.0 0.0
H 4.5720 1.6989 0.5674 0.0 0.0 0.0
H 6.1658 0.3798 -0.7474 0.0 0.0 0.0
H 5.4010 -1.0752 -2.5775 0.0 0.0 0.0
H 2.9604 -1.2933 -3.0499 0.0 0.0 0.0
H -3.4863 -1.5730 -0.7381 0.0 0.0 0.0
H -4.3478 -2.4158 -2.8809 0.0 0.0 0.0
H -4.0739 -2.8476 -5.2656 0.0 0.0 0.0
H -2.6852 -2.7934 -7.3069 0.0 0.0 0.0
H -0.3903 -1.8657 -7.2045 0.0 0.0 0.0
H 0.5083 -0.9884 -5.0987 0.0 0.0 0.0
C -0.1403 -0.9693 5.0200 0.0 0.0 0.0
C 0.9419 -1.0861 3.9672 0.0 0.0 0.0
N 0.5015 -0.4173 2.7508 0.1 0.1 0.0
C -0.3780 0.6165 2.6992 0.0 0.0 0.0
N -0.6274 1.1585 1.5277 0.0 0.1 0.1
C -1.6256 2.2191 1.4092 0.0 0.0 0.0
C -2.6359 2.1681 2.5373 0.0 0.0 0.0
C -1.8924 2.1396 3.8542 0.0 0.0 0.0
N -0.9389 1.0333 3.8554 0.0 0.0 0.0
C -0.5375 0.4870 5.1499 0.0 0.0 0.0
H 0.2222 -1.3421 5.9770 0.0 0.0 0.0
H -1.0088 -1.5631 4.7293 0.0 0.0 0.0
H 1.1454 -2.1280 3.7263 0.0 0.0 0.0
H 1.8725 -0.6421 4.3335 0.0 0.0 0.0
H 0.7780 -0.7951 1.8602 0.0 0.0 0.0
H -2.1246 2.1083 0.4457 0.0 0.0 0.0
H -1.1321 3.1991 1.3996 0.0 0.0 0.0
H -3.2439 1.2655 2.4446 0.0 0.0 0.0
H -3.3009 3.0298 2.4961 0.0 0.0 0.0
H -2.5813 1.9742 4.6824 0.0 0.0 0.0
H -1.3788 3.0893 4.0386 0.0 0.0 0.0
H -1.3876 0.5920 5.8231 0.0 0.0 0.0
H 0.2858 1.0746 5.5709 0.0 0.0 0.0

***

Entry 2:
58
Properties=species:S:1:pos:R:3:forces:R:3 method="wB97M-V/def2-TZVPD" s_squared=0.952 charge=+3 spin_multiplicity=2 e_lumo_ev="-13.10 / -13.33" total_energy_ev=-150249.2279 e_homo_ev="-16.96 / -17.00" orbital_gap_ev="3.86 / 3.67"
C -4.4803 3.4425 -3.0547 -0.3 -0.3 -0.1
C -3.1791 2.9979 -2.5068 0.3 1.9 1.0
H -4.8983 4.2813 -2.4725 0.3 -0.4 -0.2
H -5.1539 2.5633 -3.0645 0.1 0.4 0.1
H -4.3553 3.7315 -4.1140 0.1 -0.1 0.3
O -2.4985 3.4932 -1.6228 -1.0 -2.3 -2.1
Cl -2.5655 1.4937 -3.4403 -0.3 0.4 0.1
V -1.1690 1.0383 -1.3747 -2.6 -3.3 -1.5
P 0.8862 1.9149 -1.9826 2.6 1.1 -1.6
C 1.9842 3.1028 -1.1694 -0.1 -0.2 0.9
=====
- Technicians continue to conduct unventilated monitoring tests (UMTs) to ensure no chemical agent contamination remains that would expose an unprotected demolition worker to unsafe levels. Seven UMTs will be conducted as part of plant closure activities in locations associated with agent processing and destruction: three in the Enhanced Reconfiguration Building and four more in the Agent Processing Building. Similar testing will be conducted in the future at the Static Detonation Chamber (SDC) complex. Preliminary results from recent tests have been successful with no readings exceeding the standard defined in the plant’s Resource Conservation and Recovery Act permit.
- On Friday, May 10, waste operator Viktor Korotkov became the first PCAPP employee to reach 600 Demilitarization Protective Ensemble entries. This is not the first record Korotkov has broken. He also was the first to reach 500 entries in September 2022.
- The closure plan for the SDC complex, Permit Modification Request B028, remains under review by state regulators as the Colorado Department of Public Health and Environment addresses the PCD Hazardous Waste Permit renewal.
- The three SDC units are undergoing routine maintenance, waste management and general housekeeping with minimal staffing.
These data records were left in the page by mistake =
********
No. 1
A molecular structure, C25H23Cl5N4PtS in a non-equilibrium geometry, computed with wB97M-V/def2-TZVPD.

Geometry as XYZ:
```
59
C25H23Cl5N4PtS (wB97M-V/def2-TZVPD)
Pt -0.09480 0.46412 -0.69889
Cl -3.34102 -4.91046 -0.42635
Cl -2.24643 0.44572 -3.06559
Cl -1.39140 -1.15867 3.05175
Cl -3.11067 -3.79903 2.51457
Cl -1.81602 -3.44650 -2.78978
S -1.41798 2.50705 -0.11249
N 2.26180 -1.06782 -0.04293
N -1.71262 3.27509 2.44645
N 0.72211 0.96861 1.30909
N -0.03479 1.79566 2.13170
C -2.29532 -2.99007 1.20249
C 2.98107 0.89292 -1.51669
C 3.80509 -2.69609 1.58746
C 3.22727 -3.21059 0.35811
C -0.98487 2.44999 1.56771
C -2.38923 -3.48330 -0.09925
C 2.49692 -2.37915 -0.39499
C -1.69487 -2.82370 -1.13017
C 3.39046 -1.49949 2.04093
C 3.62453 1.65967 -0.35800
C -0.92469 -1.73637 -0.86027
C -0.86743 -1.26462 0.38711
C 2.20189 0.09152 5.71142
C 2.38678 1.92141 -2.47508
C 1.69226 0.31061 1.93650
C 2.79798 2.29074 4.98377
C 2.02829 0.66464 3.36066
C 1.88875 -0.24926 4.39245
C 2.66184 1.36093 6.01092
C 2.47251 1.94474 3.67627
C -1.52287 -1.83986 1.42843
C 2.42850 -0.70751 1.33071
C 1.88849 -0.14582 -1.10619
C 4.09187 0.12057 -2.24962
C -0.51277 0.84621 -2.64969
H 4.35101 2.37511 -0.76987
H 3.70674 -0.31665 -3.18038
H 2.86393 2.22258 0.20051
H 4.93460 0.78267 -2.50337
H 2.90120 1.63089 7.03271
H 2.55733 2.67871 2.88187
H 1.49851 -1.23713 4.16523
H 1.76623 -0.76791 -1.98300
H 3.74685 -1.14275 2.99692
H 0.09865 0.27557 -3.33830
H 1.55696 2.44311 -1.99668
H 2.07687 -2.67563 -1.35349
H 4.51057 -3.28315 2.16471
H -0.40421 1.89964 -2.86632
H 3.38690 -4.22756 0.02356
H -2.65646 3.39863 2.13032
H 3.15994 2.65160 -2.76513
H 4.15323 0.99983 0.33829
H 3.15948 3.29100 5.19915
H 2.00177 1.44270 -3.38600
H -1.64788 2.94799 3.39881
H 4.47650 -0.69331 -1.62121
H 2.07913 -0.64343 6.50050
```

Summary:
Net charge = -2
Multiplicity = 1
Gap between HOMO and LUMO = 3.9902 eV
Energy above the lowest of the compared OMol25 structures with the same formula, charge and spin = 1.637 eV

Results of the Mulliken charge analysis, in e, for atoms 1 through 8: 1.935, -0.243, -0.273, -0.209, -0.242, -0.270, -0.662, 1.225

=====

No. 2
A molecular structure, C25H23ClIrOP in a non-equilibrium geometry, computed with wB97M-V/def2-TZVPD.

Geometry as XYZ:
```
52
C25H23ClIrOP (wB97M-V/def2-TZVPD)
Ir 2.04892 1.41900 1.18011
Cl 0.90605 0.56143 3.00694
P -0.34765 -0.17063 0.11172
O 3.41953 -0.90452 1.87074
C 0.85847 2.99755 0.32366
C -0.17570 -2.29245 -3.48385
C -2.26091 -3.68982 1.31409
C 0.26829 0.29898 -2.53918
C -1.17276 -4.43036 1.77247
C -4.22703 0.66717 -1.22623
C -4.77187 1.27352 -0.09583
C -0.36430 -2.00966 -2.12410
C 1.38587 3.53714 1.55498
C -0.78827 -1.82443 0.82335
C 1.98696 2.71199 -0.55796
C 0.10519 -3.87146 1.75825
C 0.30155 -2.57563 1.29347
C -0.10993 -0.71675 -1.64265
C 2.80405 3.61393 1.42136
C -3.98957 1.44767 1.04813
C 3.56330 0.29184 1.66725
C -2.09356 0.44655 -0.08569
C 0.26130 -1.29669 -4.35280
C 3.17591 3.10597 0.12872
C 0.48391 -0.00052 -3.88118
C -2.65931 1.03400 1.06077
********
Upcoming Meetings
- The next Colorado Chemical Demilitarization Citizens’ Advisory Commission meetings will be online at 3 p.m. MT on June 26.
Individuals interested in joining online can participate using the link and information below.
Computer: Zoom
Phone: 1 (719) 359-4580
Meeting ID: 844 3279 1550#